Given:
'''
No. 1
DFT (wB97M-V/def2-TZVPD) results for a molecular structure, C10H11ClO3S in a non-equilibrium geometry.

Last column: Mulliken charge in e.
CARTESIAN COORDINATES (ANGSTROEM)
C (2.790, 2.104, 1.065)  -0.37
C (3.084, 0.995, 1.950)  -0.54
C (1.579, 2.275, 0.364)  -1.00
C (2.204, -0.026, 1.893)  -0.25
C (0.747, 1.193, 0.357)  0.82
C (1.088, 0.031, 1.114)  0.16
C (-0.474, 1.135, -0.542)  -0.93
C (-0.641, -0.361, -0.849)  -0.62
C (-0.018, -0.982, 0.942)  0.28
C (-2.671, -1.224, -2.607)  -0.96
O (-3.328, -0.336, -0.253)  -0.63
O (-2.090, -2.467, -0.243)  -0.75
O (0.279, -2.306, 0.895)  -0.56
S (-2.329, -1.151, -0.901)  1.32
Cl (-1.408, -0.739, 2.060)  -0.11
H (3.515, 2.950, 1.251)  0.26
H (3.878, 1.059, 2.719)  0.36
H (1.573, 3.031, -0.399)  0.37
H (2.381, -0.960, 2.494)  0.35
H (-1.281, 1.434, 0.037)  0.44
H (-0.554, 1.814, -1.415)  0.38
H (0.132, -0.824, -1.522)  0.47
H (-1.690, -0.788, -3.044)  0.29
H (-2.645, -2.206, -3.032)  0.39
H (-3.615, -0.805, -2.959)  0.34
H (-0.508, -2.846, 0.626)  0.49

The calculation puts the HOMO-LUMO gap at 0.343 Ha. The total energy comes out at -40045.72583 eV. The total charge is 0.

No. 2
DFT (wB97M-V/def2-TZVPD) results for a molecular structure, C27H27CoN9SSe in a non-equilibrium geometry.

Last column: Mulliken charge in e.
CARTESIAN COORDINATES (ANGSTROEM)
Co (-0.122, 0.619, 0.240)  -0.07
N (-0.472, 2.207, 3.176)  -0.07
C (0.661, 1.427, 3.124)  0.46
C (1.490, 1.428, 4.261)  -0.63
C (2.628, 0.663, 4.269)  -0.73
C (2.936, -0.107, 3.143)  -0.90
C (2.083, -0.054, 2.074)  -0.85
N (0.958, 0.699, 2.045)  1.39
C (-1.434, 2.548, 2.246)  0.87
C (-2.382, 3.496, 2.657)  -1.00
C (-3.368, 3.901, 1.793)  -0.45
C (-3.397, 3.351, 0.511)  -0.97
C (-2.443, 2.429, 0.178)  -0.16
N (-1.463, 2.010, 1.017)  0.14
H (-0.596, 2.667, 4.062)  0.18
H (1.223, 2.039, 5.113)  0.50
H (3.280, 0.666, 5.133)  0.47
H (3.825, -0.721, 3.109)  0.55
H (2.291, -0.627, 1.177)  0.46
H (-2.323, 3.906, 3.657)  0.46
H (-4.101, 4.636, 2.098)  0.46
H (-4.147, 3.644, -0.209)  0.50
H (-2.446, 2.000, -0.811)  0.39
Se (1.410, 3.193, -6.833)  0.42
N (0.123, 2.193, -6.177)  -0.82
C (0.362, 2.020, -4.903)  0.97
C (-0.477, 1.246, -4.017)  0.31
C (-1.652, 0.611, -4.433)  -0.76
C (-2.396, -0.094, -3.508)  -1.13
C (-1.950, -0.159, -2.195)  -0.51
N (-0.829, 0.435, -1.784)  0.42
C (-0.096, 1.137, -2.672)  -0.22
C (1.104, 1.790, -2.167)  0.31
N (1.377, 1.641, -0.854)  -0.09
C (2.472, 2.213, -0.358)  -0.10
C (3.352, 2.955, -1.137)  -1.02
C (3.083, 3.123, -2.477)  -0.55
C (1.931, 2.536, -3.013)  0.40
C (1.555, 2.658, -4.405)  0.91
N (2.244, 3.327, -5.293)  -0.82
H (-1.959, 0.685, -5.468)  0.60
H (-3.315, -0.589, -3.789)  0.54
H (-2.523, -0.693, -1.446)  0.90
H (2.657, 2.086, 0.700)  0.39
H (4.232, 3.389, -0.683)  0.49
H (3.736, 3.695, -3.124)  0.59
C (-0.329, -3.133, 3.159)  -1.07
N (-0.536, -3.909, 1.933)  0.03
C (-1.087, -5.254, 2.141)  -1.13
C (-0.450, -3.343, 0.736)  0.82
S (-0.806, -1.611, 0.694)  -0.30
N (-0.173, -3.991, -0.373)  0.05
C (0.487, -5.300, -0.382)  -1.15
C (-0.386, -3.398, -1.692)  -1.30
H (0.108, -3.789, 3.910)  0.39
H (-1.270, -2.744, 3.553)  0.37
H (0.362, -2.309, 2.978)  0.37
H (-1.904, -5.180, 2.859)  0.40
H (-0.336, -5.928, 2.554)  0.40
H (-1.483, -5.667, 1.219)  0.38
H (0.966, -5.502, 0.571)  0.40
H (1.252, -5.285, -1.158)  0.41
H (-0.213, -6.101, -0.619)  0.39
H (-1.113, -2.589, -1.645)  0.48
H (-0.769, -4.164, -2.365)  0.43
H (0.557, -3.025, -2.098)  0.39

The calculation puts the HOMO-LUMO gap (spin up / spin down) at 0.284 / 0.142 Ha. The total energy comes out at -155633.31159 eV. The value obtained for the energy relative to the best compared isomer or geometry (same formula, charge and spin) is 15.83 kcal per mole. The total charge is +3. As for the spin multiplicity: 5.

No. 3
DFT (wB97M-V/def2-TZVPD) results for a single C5H10O molecule in a non-equilibrium geometry.

Last column: Mulliken charge in e.
CARTESIAN COORDINATES (ANGSTROEM)
C (-0.051, -0.364, -2.541)  -1.06
C (0.455, 0.258, -1.244)  -0.30
'''

Request:
It remains to return every line further above that contains the word "up".

Worked solution:
The calculation puts the HOMO-LUMO gap (spin up / spin down) at 0.284 / 0.142 Ha. The total energy comes out at -155633.31159 eV. The value obtained for the energy relative to the best compared isomer or geometry (same formula, charge and spin) is 15.83 kcal per mole. The total charge is +3. As for the spin multiplicity: 5.